Recent growth of social media networks and smartphone users have led to a sudden spike in internet user population. In today’s world a good application can become viral in a matter of few hours. Gone are the days when user-base growth was a slow, linear and predictable process. Having a million+ users is the new ‘Norm’ for any internet application. Growth estimates have become unpredictable and now companies need to implement/create applications such that they can effectively support dynamic increase in the number of users as and when required.
Today’s web applications also generate a lot of unstructured data in form of comments, feedback and access patterns. This data contains lot of useful insights about the users and usage behavior. Applications should be able to preserve and analyze this unstructured or semi structured data.
Let the facts speak for themselves,
**Between two parts of the piece: records of molecules**
~~~
P:
Molecular formula: C41H55N11O6S3Zr
Method: DFT, wB97M-V/def2-TZVPD

```
117
Properties=species:S:1:pos:R:3:mulliken_charge:R:1
Zr 0.166 -0.264 0.764 0.355
C -2.008 0.672 -4.455 -1.736
C -1.480 0.730 -3.057 0.172
N -0.784 1.698 -2.604 0.373
O -0.564 2.677 -3.554 -0.572
C -1.726 -0.399 -2.109 0.738
C -2.775 -1.416 -2.415 -1.653
N -0.972 -0.482 -1.085 0.370
O -1.093 -1.529 -0.216 -0.837
H -1.237 0.993 -5.153 0.419
H -2.844 1.365 -4.569 0.324
H -2.344 -0.325 -4.721 0.470
H 0.056 3.283 -3.126 0.312
H -3.656 -0.931 -2.835 0.537
H -3.048 -1.953 -1.512 0.026
H -2.412 -2.142 -3.147 0.432
N 2.343 -8.271 1.871 -0.464
C 2.452 -6.916 1.790 1.001
C 1.336 -6.127 1.463 -0.889
C 1.437 -4.755 1.422 -0.483
C 2.656 -4.145 1.696 0.153
C 3.778 -4.910 2.003 -0.809
C 3.676 -6.282 2.050 -0.776
S 2.793 -2.420 1.799 1.504
O 2.253 -2.000 3.094 -0.918
O 4.129 -1.998 1.508 -0.732
N 1.729 -1.794 0.709 0.937
C 2.199 -1.624 -0.588 0.337
N 2.942 -2.536 -1.197 -0.555
C 3.314 -2.233 -2.435 -0.557
C 2.921 -1.060 -3.078 -1.097
C 2.130 -0.192 -2.364 0.042
N 1.788 -0.455 -1.096 0.644
H 1.513 -8.732 1.546 0.202
H 3.166 -8.837 1.966 0.203
H 0.394 -6.610 1.235 0.326
H 0.575 -4.154 1.155 0.421
H 4.726 -4.425 2.194 0.489
H 4.547 -6.880 2.285 0.320
H 3.942 -2.959 -2.938 0.493
H 3.224 -0.841 -4.091 0.456
H 1.767 0.737 -2.787 0.452
O -0.151 -1.437 2.680 -0.412
H -0.717 -1.248 3.435 0.287
H 0.772 -1.679 3.020 0.101
N 5.233 3.030 5.021 -0.328
C 3.930 3.319 4.821 -0.006
O 3.352 4.269 5.302 -0.584
C 3.168 2.386 3.910 0.612
C 3.704 1.846 2.750 -1.045
C 2.889 1.089 1.929 -0.398
N 1.604 0.851 2.211 0.998
C 1.096 1.361 3.346 -0.647
C 1.836 2.134 4.211 -0.715
H 5.760 3.620 5.645 0.254
H 5.644 2.166 4.716 0.195
H 4.732 2.018 2.464 0.508
H 3.279 0.647 1.020 0.399
H 0.050 1.154 3.542 0.249
H 1.393 2.560 5.100 0.573
C -5.528 -0.880 7.461 -1.365
C -4.719 -0.619 6.198 0.016
C -5.499 0.199 5.174 -1.021
C -4.704 0.542 3.924 -0.608
N -4.360 -0.684 3.201 0.389
C -3.340 -0.851 2.369 0.053
S -2.362 0.496 1.911 -0.125
N -3.093 -2.057 1.854 0.313
C -3.735 -3.327 2.189 -1.020
C -4.682 -3.800 1.091 -0.592
C -5.945 -2.949 0.970 -0.170
C -6.919 -3.137 2.130 -1.290
H -4.964 -1.473 8.180 0.379
H -6.448 -1.421 7.233 0.328
H -5.807 0.056 7.947 0.343
H -4.411 -1.574 5.760 0.162
H -3.797 -0.085 6.451 0.250
H -5.825 1.137 5.628 0.460
H -6.414 -0.333 4.889 0.326
H -3.777 1.055 4.179 0.428
H -5.276 1.199 3.266 0.347
H -5.012 -1.447 3.303 -0.269
H -2.432 -2.059 1.086 0.056
H -4.260 -3.225 3.138 0.505
H -2.941 -4.056 2.359 0.342
H -4.952 -4.840 1.291 0.466
H -4.135 -3.797 0.143 0.232
H -6.455 -3.207 0.041 0.445
H -5.665 -1.893 0.875 0.180
H -7.217 -4.183 2.219 0.378
H -7.822 -2.546 1.985 0.353
H -6.499 -2.847 3.098 0.248
N -0.242 1.861 0.351 1.272
S 0.094 3.299 0.991 0.494
C 1.202 4.120 -0.147 0.385
C 1.818 3.387 -1.148 -0.263
C 2.705 4.033 -2.003 -0.669
C 2.969 5.385 -1.841 -0.646
C 2.355 6.100 -0.819 -0.670
C 1.467 5.470 0.038 -0.818
C -1.361 4.293 0.836 0.492
C -1.968 4.690 2.018 -0.412
C -3.126 5.454 1.954 -0.750
~~~
2+ billion – Internet users
32 billion – Hours spent online daily
1+ billion – Smartphone users
566% – Growth in number of internet users in last 12 years
Scalability and Performance have become key success factors for any web app company. Normally, web applications follow a three tier design approach – Front-end (UI) layer, Model layer and Back-end (Database) layer. There are a variety of solutions and design strategies available for UI and model layer implementations, however database layer has been dominated by relational databases. Relational databases are rigid and difficult to scale. Application developers find it extremely challenging (impossible in most of the cases), to get the dynamic scalability without compromising performance. Relational databases have also failed to provide effective storage and retrieval of unstructured data. So, in nut-shell Relational databases are biggest bottleneck for rapidly growing web applications? Not anymore; NoSQL databases have emerged to their rescue.
NoSQL is a completely new approach of thinking about a database. NoSQL databases generally do not adhere to the traditional RDBMS principals and fundamentals. A NoSQL DB may not support SQL and may not provide ACID (atomicity, consistency, isolation, durability) guarantees, but compared to relational implementations, a NoSQL DB is more flexible, scalable and cost efficient.
Let me clear the ambiguity around the term ‘NoSQL’. It is a misnomer. NoSQL should be understood as ‘Not Only SQL’.NoSQL databases are – non-relational, schema-free, distributed, open-source, eventually consistent and horizontally scalable. NoSQL DB solutions available today can be classified into four major design categories, namely: key-value stores, document store, Columnar, and graph databases.
Irrespective of the design and implementation, NoSQL databases share following characteristics:
a) Auto-sharding: A NoSQL Database automatically distributes stored data across servers, without any need of explicit applications logic to do that. Servers can be added or removed from the cluster without any data loss or major application downtime.
b) Implicit cache: To increase throughput, advanced NoSQL database technologies seamlessly cache data in memory. This is implicit and transparent to the application development team.
c) Schema free: The storage structure is schema free and thus more flexible to efficiently store and retrieve unstructured data.
NoSQL may not be a fit for all applications, specially the ones which involve online transactions. However, most of the today’s web applications can break performance shackles through NoSQL. NoSQL is supported by many technology companies and is gaining momentum. It is here to stay!
Stay tuned to dive deeper into the NoSQL world in my further posts.